-- begin --
# 1
Density functional theory data (PBE) for a relaxed structure of Ba4USe6.

Cell lengths 12.8007, 12.8007, 15.8761 Å; angles 90.00, 90.00, 120.00 degrees
Closest atoms and distances in Å follow each position.
Space group R-3c (No. 167, hexagonal axes)
Symmetry-distinct sites (fractional):
1 Ba 0.0000 0.0000 0.2500  6 Se 3.27
2 Ba 0.0000 0.3753 0.2500  8 Se 3.42-3.56
3 U 0.0000 0.0000 0.0000  6 Se 2.85
4 Se 0.0280 0.1936 0.3954  1 U 2.85

## Properties
energy	-359.87	eV/cell
DFT formation energy	-22.87	eV per formula unit
calculated volume	34.13	A^3/atom

# 2
Density functional theory data (PBE) for a relaxed structure of BaVSe3.

Cell lengths 7.1030, 12.1471, 5.9022 Å; angles 90.00, 90.00, 90.00 degrees
Closest atoms and distances in Å follow each position.
Space group Cmc2_1 (No. 36)
Symmetry-distinct sites (fractional):
1 Ba 0.0000 0.1639 0.0000  12 Se 3.47-3.67
2 V 0.0000 0.4742 0.7417  5 Se 2.34-2.58
3 Se 0.0000 0.3293 0.4803  1 V 2.34
4 Se 0.2467 0.4167 0.0119  2 V 2.47-2.58

## Properties
energy	-110.19	eV/cell
DFT formation energy	-7.47	eV per formula unit
M_tot	0.18	μB per atom
calculated volume	25.46	A^3/atom

~~~~~

A plane-wave DFT calculation with GGA+U was carried out for a relaxed Sr2Ca14Mn14Al2O43 crystal.

MP2020-corrected energy in eV per cell: -1150.3
Calculated formation energy in eV per atom: -2.603
V in Å³ per cell: 1828.87

a b c (Å): 10.8864 10.9585 15.3363
angles (deg): 89.98 89.78 88.41
Closest atoms and distances in Å follow each position.
Fractional coordinates of all 150 atoms:
Sr (0.0000, 0.0000, 0.0000)  6 O 2.44-2.63
Sr (0.0168, 0.0114, 0.7536)  6 O 2.50-2.71
Sr (0.2681, 0.2559, 0.0088)  7 O 2.47-2.75
Sr (0.7624, 0.7499, 0.7628)  6 O 2.42-2.70
Ca (0.0137, 0.5119, 0.7656)  4 O 2.35-2.49
Ca (0.0189, 0.4999, 0.2420)  3 O 2.31-2.39
Ca (0.0196, 0.4708, 0.5034)  6 O 2.34-2.55
Ca (0.0222, 0.4926, 0.0066)  5 O 2.34-2.58
Ca (0.0248, 0.0193, 0.2359)  6 O 2.30-2.51
Ca (0.0313, 0.0219, 0.5079)  6 O 2.27-2.53
Ca (0.2526, 0.7266, 0.4907)  6 O 2.32-2.48
Ca (0.2559, 0.7417, 0.7664)  5 O 2.26-2.53
Ca (0.2607, 0.7186, 0.0018)  6 O 2.32-2.56
Ca (0.2674, 0.2953, 0.7411)  6 O 2.38-2.50
Ca (0.2708, 0.2468, 0.5026)  4 O 2.31-2.47
Ca (0.2723, 0.2847, 0.2553)  7 O 2.38-2.61
Ca (0.2837, 0.7744, 0.2495)  5 O 2.31-2.54
Ca (0.4916, 0.0264, 0.4904)  7 O 2.36-2.62
Ca (0.5072, 0.5290, 0.2470)  5 O 2.34-2.56
Ca (0.5118, 0.0284, 0.2535)  8 O 2.48-2.72
Ca (0.5191, 0.5055, 0.7643)  5 O 2.35-2.56
Ca (0.5229, 0.4772, 0.0054)  6 O 2.37-2.64
Ca (0.5236, 0.4783, 0.5014)  6 O 2.34-2.57
Ca (0.5282, 0.0235, 0.7339)  6 O 2.33-2.51
Ca (0.5314, 0.9912, 0.0120)  5 O 2.34-2.47
Ca (0.7530, 0.7546, 0.2381)  5 O 2.29-2.52
Ca (0.7550, 0.7142, 0.4957)  6 O 2.27-2.47
Ca (0.7610, 0.2427, 0.5058)  4 O 2.31-2.49
Ca (0.7647, 0.7237, 0.0027)  6 O 2.35-2.61
Ca (0.7661, 0.2853, 0.2454)  6 O 2.32-2.56
Ca (0.7733, 0.2492, 0.0134)  4 O 2.28-2.39
Ca (0.7728, 0.2916, 0.7453)  7 O 2.35-2.59
Mn (0.0022, 0.7425, 0.6352)  4 O 1.86-1.90
Mn (0.0133, 0.7535, 0.8850)  6 O 1.91-2.03
Mn (0.0176, 0.2516, 0.1250)  6 O 1.94-2.05
Mn (0.0209, 0.2595, 0.6338)  6 O 1.90-2.09
Mn (0.0244, 0.2594, 0.3737)  5 O 1.92-2.02
Mn (0.0245, 0.7362, 0.3610)  4 O 1.86-1.94
Mn (0.2509, 0.0000, 0.8837)  4 O 1.90-1.95
Mn (0.2536, 0.0056, 0.3726)  5 O 1.97-2.15
Mn (0.2634, 0.5131, 0.6229)  6 O 1.93-2.05
Mn (0.2658, 0.5103, 0.1290)  6 O 1.97-2.00
Mn (0.2693, 0.5045, 0.3786)  6 O 1.92-2.01
Mn (0.2705, 0.5025, 0.8780)  6 O 1.88-2.04
Mn (0.2820, 0.0130, 0.6306)  5 O 1.91-2.05
Mn (0.4956, 0.7508, 0.6381)  4 O 1.88-1.91
Mn (0.5107, 0.7558, 0.3764)  5 O 1.95-2.02
Mn (0.5129, 0.7597, 0.1227)  6 O 1.93-1.99
Mn (0.5161, 0.2628, 0.3746)  6 O 1.92-2.01
Mn (0.5185, 0.2553, 0.1308)  6 O 1.92-1.99
Mn (0.5195, 0.2622, 0.6295)  6 O 1.91-2.12
Mn (0.5186, 0.7443, 0.8847)  5 O 1.88-2.01
Mn (0.5303, 0.2468, 0.8767)  5 O 1.92-2.01
Mn (0.7368, 0.9862, 0.3908)  4 O 1.83-1.95
Mn (0.7626, 0.5036, 0.1271)  6 O 1.93-1.98
Mn (0.7635, 0.5041, 0.3743)  6 O 1.93-2.12
Mn (0.7646, 0.5066, 0.6237)  6 O 1.94-2.14
-- stop --

The reader should give back everything earlier on word for word.

# 1
Density functional theory data (PBE) for a relaxed structure of Ba4USe6.

Cell lengths 12.8007, 12.8007, 15.8761 Å; angles 90.00, 90.00, 120.00 degrees
Closest atoms and distances in Å follow each position.
Space group R-3c (No. 167, hexagonal axes)
Symmetry-distinct sites (fractional):
1 Ba 0.0000 0.0000 0.2500  6 Se 3.27
2 Ba 0.0000 0.3753 0.2500  8 Se 3.42-3.56
3 U 0.0000 0.0000 0.0000  6 Se 2.85
4 Se 0.0280 0.1936 0.3954  1 U 2.85

## Properties
energy	-359.87	eV/cell
DFT formation energy	-22.87	eV per formula unit
calculated volume	34.13	A^3/atom

# 2
Density functional theory data (PBE) for a relaxed structure of BaVSe3.

Cell lengths 7.1030, 12.1471, 5.9022 Å; angles 90.00, 90.00, 90.00 degrees
Closest atoms and distances in Å follow each position.
Space group Cmc2_1 (No. 36)
Symmetry-distinct sites (fractional):
1 Ba 0.0000 0.1639 0.0000  12 Se 3.47-3.67
2 V 0.0000 0.4742 0.7417  5 Se 2.34-2.58
3 Se 0.0000 0.3293 0.4803  1 V 2.34
4 Se 0.2467 0.4167 0.0119  2 V 2.47-2.58

## Properties
energy	-110.19	eV/cell
DFT formation energy	-7.47	eV per formula unit
M_tot	0.18	μB per atom
calculated volume	25.46	A^3/atom

~~~~~

A plane-wave DFT calculation with GGA+U was carried out for a relaxed Sr2Ca14Mn14Al2O43 crystal.

MP2020-corrected energy in eV per cell: -1150.3
Calculated formation energy in eV per atom: -2.603
V in Å³ per cell: 1828.87

a b c (Å): 10.8864 10.9585 15.3363
angles (deg): 89.98 89.78 88.41
Closest atoms and distances in Å follow each position.
Fractional coordinates of all 150 atoms:
Sr (0.0000, 0.0000, 0.0000)  6 O 2.44-2.63
Sr (0.0168, 0.0114, 0.7536)  6 O 2.50-2.71
Sr (0.2681, 0.2559, 0.0088)  7 O 2.47-2.75
Sr (0.7624, 0.7499, 0.7628)  6 O 2.42-2.70
Ca (0.0137, 0.5119, 0.7656)  4 O 2.35-2.49
Ca (0.0189, 0.4999, 0.2420)  3 O 2.31-2.39
Ca (0.0196, 0.4708, 0.5034)  6 O 2.34-2.55
Ca (0.0222, 0.4926, 0.0066)  5 O 2.34-2.58
Ca (0.0248, 0.0193, 0.2359)  6 O 2.30-2.51
Ca (0.0313, 0.0219, 0.5079)  6 O 2.27-2.53
Ca (0.2526, 0.7266, 0.4907)  6 O 2.32-2.48
Ca (0.2559, 0.7417, 0.7664)  5 O 2.26-2.53
Ca (0.2607, 0.7186, 0.0018)  6 O 2.32-2.56
Ca (0.2674, 0.2953, 0.7411)  6 O 2.38-2.50
Ca (0.2708, 0.2468, 0.5026)  4 O 2.31-2.47
Ca (0.2723, 0.2847, 0.2553)  7 O 2.38-2.61
Ca (0.2837, 0.7744, 0.2495)  5 O 2.31-2.54
Ca (0.4916, 0.0264, 0.4904)  7 O 2.36-2.62
Ca (0.5072, 0.5290, 0.2470)  5 O 2.34-2.56
Ca (0.5118, 0.0284, 0.2535)  8 O 2.48-2.72
Ca (0.5191, 0.5055, 0.7643)  5 O 2.35-2.56
Ca (0.5229, 0.4772, 0.0054)  6 O 2.37-2.64
Ca (0.5236, 0.4783, 0.5014)  6 O 2.34-2.57
Ca (0.5282, 0.0235, 0.7339)  6 O 2.33-2.51
Ca (0.5314, 0.9912, 0.0120)  5 O 2.34-2.47
Ca (0.7530, 0.7546, 0.2381)  5 O 2.29-2.52
Ca (0.7550, 0.7142, 0.4957)  6 O 2.27-2.47
Ca (0.7610, 0.2427, 0.5058)  4 O 2.31-2.49
Ca (0.7647, 0.7237, 0.0027)  6 O 2.35-2.61
Ca (0.7661, 0.2853, 0.2454)  6 O 2.32-2.56
Ca (0.7733, 0.2492, 0.0134)  4 O 2.28-2.39
Ca (0.7728, 0.2916, 0.7453)  7 O 2.35-2.59
Mn (0.0022, 0.7425, 0.6352)  4 O 1.86-1.90
Mn (0.0133, 0.7535, 0.8850)  6 O 1.91-2.03
Mn (0.0176, 0.2516, 0.1250)  6 O 1.94-2.05
Mn (0.0209, 0.2595, 0.6338)  6 O 1.90-2.09
Mn (0.0244, 0.2594, 0.3737)  5 O 1.92-2.02
Mn (0.0245, 0.7362, 0.3610)  4 O 1.86-1.94
Mn (0.2509, 0.0000, 0.8837)  4 O 1.90-1.95
Mn (0.2536, 0.0056, 0.3726)  5 O 1.97-2.15
Mn (0.2634, 0.5131, 0.6229)  6 O 1.93-2.05
Mn (0.2658, 0.5103, 0.1290)  6 O 1.97-2.00
Mn (0.2693, 0.5045, 0.3786)  6 O 1.92-2.01
Mn (0.2705, 0.5025, 0.8780)  6 O 1.88-2.04
Mn (0.2820, 0.0130, 0.6306)  5 O 1.91-2.05
Mn (0.4956, 0.7508, 0.6381)  4 O 1.88-1.91
Mn (0.5107, 0.7558, 0.3764)  5 O 1.95-2.02
Mn (0.5129, 0.7597, 0.1227)  6 O 1.93-1.99
Mn (0.5161, 0.2628, 0.3746)  6 O 1.92-2.01
Mn (0.5185, 0.2553, 0.1308)  6 O 1.92-1.99
Mn (0.5195, 0.2622, 0.6295)  6 O 1.91-2.12
Mn (0.5186, 0.7443, 0.8847)  5 O 1.88-2.01
Mn (0.5303, 0.2468, 0.8767)  5 O 1.92-2.01
Mn (0.7368, 0.9862, 0.3908)  4 O 1.83-1.95
Mn (0.7626, 0.5036, 0.1271)  6 O 1.93-1.98
Mn (0.7635, 0.5041, 0.3743)  6 O 1.93-2.12
Mn (0.7646, 0.5066, 0.6237)  6 O 1.94-2.14